Fundametals of Rendering - /

(These data records were left in the piece by mistake)
-- begin --
This record from Alexandria via LeMat-Bulk describes a relaxed structure of LiS3O9. The functional is PBE.

Unit cell a=14.394 b=6.830 c=10.526 alpha=90.00 beta=130.52 gamma=90.00
Space group Cc (No. 9)
Asymmetric unit:
Li 0.000 0.218 0.000 x4
S 0.101 0.099 0.811 x4
S 0.208 0.400 0.699 x4
S 0.324 0.124 0.571 x4
O 0.019 0.087 0.846 x4
O 0.087 0.046 0.201 x4
O 0.101 0.306 0.763 x4
O 0.138 0.427 0.106 x4
O 0.235 0.284 0.523 x4
O 0.239 0.083 0.991 x4
O 0.330 0.422 0.859 x4
O 0.368 0.150 0.482 x4
O 0.409 0.077 0.745 x4

Output
M_tot ... 4.0 Bohr magnetons per cell
Uncorrected energy ... -5.759 eV/atom
Calculated density ... 2.087 g/cm3

=====

VASP calculation (PBE) on Tm2Co9Ge6 after structural relaxation.

Cell: 5.1969 5.1969 10.9939 Å, 90.00 90.00 120.00°
With the nearest neighbours (Å) after each atom.
Space group P6/mmm (No. 191)
Symmetry-distinct sites (fractional):
Tm 0.0000 0.0000 0.1856 [2 per cell]  6 Ge 3.01, 12 Co 3.05-3.30
Co 0.0000 0.5000 0.0000 [3 per cell]  4 Ge 2.35, 4 Co 2.60
Co 0.0000 0.5000 0.3313 [6 per cell]  4 Ge 2.37-2.39, 4 Co 2.60
Ge 0.3333 0.6667 0.1646 [4 per cell]  6 Co 2.35-2.37
Ge 0.3333 0.6667 0.5000 [2 per cell]  6 Co 2.39

formation enthalpy at 0 K	-245	meV per atom
raw total energy	-0.22649	Ha/atom

=====

# 1
Crystalline ZnNi at its relaxed geometry, computed with GGA-PBEsol.

Results
The value obtained for the formation energy is -4.27 kcal/mol of atoms. The value obtained for the electronic total energy is -4.05 eV per atom.

POSCAR file:
```
ZnNi
1.0
-1.7869 1.7869 3.6174
1.7869 -1.7869 3.6174
1.7869 1.7869 -3.6174
Zn Ni
2 2
direct
0.3750 0.6250 0.7500
0.6250 0.3750 0.2500
0.1250 0.8750 0.2500
0.8750 0.1250 0.7500
```

=====

# 2
Crystalline Zn3Ni2 at its relaxed geometry, computed with GGA-PBEsol.

Results
The value obtained for the formation energy is -2.81 kcal/mol of atoms. The value obtained for the electronic total energy is -3.53 eV per atom.

POSCAR file:
```
Zn3Ni2
1.0
3.9811 0.0000 0.0000
-1.9906 3.4478 0.0000
0.0000 0.0000 4.8393
Zn Ni
3 2
direct
0.0000 0.0000 0.0000
0.3333 0.6667 0.3615
0.6667 0.3333 0.6385
0.3333 0.6667 0.8630
0.6667 0.3333 0.1370
```

=====

# 3
Crystalline Zn2Ni at its relaxed geometry, computed with GGA-PBEsol.

Results
The value obtained for the formation energy is -3.61 kcal/mol of atoms. The value obtained for the electronic total energy is -3.26 eV per atom.

POSCAR file:
```
Zn2Ni
1.0
4.6977 -1.3189 0.0000
4.6977 1.3189 0.0000
-1.5055 0.0000 5.9169
Zn Ni
4 2
direct
0.0000 0.0000 0.0000
0.0560 0.0560 0.5957
0.3763 0.3763 0.2858
0.7231 0.7231 0.9317
0.3347 0.3347 0.6674
0.6598 0.6598 0.3240
```

=====

Density functional theory data (GGA-PBE) for a relaxed Zn4P6N12Cl crystal.

The space group is I-43m (No. 217) and the conventional cell measures 8.282, 8.282 and 8.282 Å, with angles of 90.00, 90.00 and 90.00 degrees. The inequivalent atoms are Zn at (0.176, 0.176, 0.824), P at (0.000, 0.250, 0.500), N at (0.086, 0.359, 0.359) and Cl at (0.000, 0.000, 0.000).
-- stop --
(End of the data records)

“Physically Based Rendering” by Pharr & Humphreys

•Chapter 5: Color and Radiometry •Chapter 6: Camera Models - we won’t cover this in class

782 Realistic Rendering

• Determination of • Mechanisms – Emittance (+) – Absorption (-) – Scattering (+) (single vs. multiple) • Cameras or retinas record quantity of

782 Pertinent Questions

• Nature of light and how it is: – Measured – Characterized / recorded • (local) reflection of light • (global) spatial distribution of light

782 Electromagnetic

782 Spectral Power Distributions e.g., Fluorescent Lamps

782 Tristimulus Theory of Color

Metamers: SPDs that appear the same visually

Color matching functions of standard human observer International Commision on Illumination, or CIE, of 1931

“These color matching functions are the amounts of three standard monochromatic primaries needed to match the monochromatic test primary at the shown on the horizontal scale.” from Wikipedia “CIE 1931 Color Space” 782

Three views •Geometrical or ray – Traditional graphics – Reflection, refraction – Optical system design •Physical or wave – Dispersion, interference – Interaction of objects of size comparable to wavelength •Quantum or optics – Interaction of light with atoms and molecules

782 What Is Light ?

• Light - particle model (Newton) – Light travels in straight lines – Light can travel through a vacuum (waves need a medium to travel in) – Quantum amount of energy • Light – wave model (Huygens): electromagnetic : sinusiodal wave formed coupled electric (E) and magnetic (H) fields

782 Nature of Light

• Wave-particle duality – Light has some wave properties: , phase, orientation – Light has some quantum particle properties: quantum packets ().

• Dimensions of light – Amplitude or Intensity – Frequency – Phase – Polarization

782 Nature of Light

• Coherence - Refers to of waves • Laser light waves have uniform frequency • Natural light is incoherent- waves are multiple frequencies, and random in phase.

• Polarization - Refers to orientation of waves. – Polarized light waves have uniform orientation – Natural light is unpolarized - it has many waves summed all with random orientation – Focused feflected light tends to be parallel to surface of reflection

782 Radiometry

• Science of measuring energy (light in our case)

• Analogous science called photometry is based on human perception.

782 Radiometry Questions

• Measure energy leaving a light source, as a function of direction

• Measure energy hitting a surface, in a particular direction

• Measure energy leaving a surface, in a particular direction

The energy is light, photons in this case 782

First, need to define 3D angular units

2D full circle - radians

3D full sphere -

782 Terminology


Power Energy per unit of time

782 Power on a surface

Flux Radiant power passing through a surface

Flux density Radiant power per unit area on a surface

Incident flux density Flux density arriving at a surface in all directions

Exitant flux density Flux density leaving from a (aka ) surface in all directions

782 Power in a direction

Radiant intensity Power per unit solid angle

Radiance Power radiated per unit solid angle per unit projected source area for rendering: important when considering the direction toward the camera

782 Radiometry - Quantities

• Energy Q • Power Φ – Energy per time • E and Radiosity B – Power per area • Intensity I – Power per solid angle • L – Power per projected area and solid angle

782 Terms & Units Energy per time

Power for a surface per unit solid angle Flux

per unit surface area

Radiant Intensity Flux density (incident, irradiance, exitant, radiosity)

per unit per unit projected solid angle source area Given radiance, you can Radiance integrate to get other terms 782 Radiant Energy - Q

• Think of photon as carrying quantum of energy • Wave packets • Total energy, Q, is then energy of the total number of photons • Units - or eV

782 Power - Φ

• Flow of energy (important for transport) • Also - radiant power or flux. • Energy per unit time (joules/s = eV/s) • Unit: W - • • Falls off with square of distance

782 Area Density or simply flux density

• Area density of flux (W/m2) • u = Energy arriving/leaving a surface per unit time interval

• dA can be any 2D surface in space

• E.g. sphere:

782 dA Irradiance E

• Power per unit area incident on a surface

782 Radiosity or B

• Power per unit area leaving surface • Also known as Radiosity • Same unit as irradiance, just direction changes

782 Intensity I

• Flux density per unit solid angle

• Units – watts per • Radiant intensity • “intensity” is heavily overloaded. Why? – Power of light source – Perceived

782 Solid Angle

• Size of a patch, dA, in terms of its angular direction, is

• Solid angle is

782 Solid Angle (contd.)

• Solid angle generalizes angle! • Steradian • Sphere has 4π steradians! Why? • Dodecahedron – 12 faces, each pentagon. • One steradian approx equal to solid angle subtended by a single face of dodecahedron

782 Hemispherical Projection

• Use a hemisphere Η over surface to measure incoming/outgoing flux

• Replace objects and points with their hemispherical projection

ω ω r

782 Isotropic Point Source

• Even distribution over sphere

782 Radiance L

• Power per unit projected area per unit solid angle. • Units – watts per (steradian m2) • We have now introduced projected area, a cosine term.

782 Projected Area

V N V θ

782 Why the Cosine Term?

• Foreshortening is by cosine of angle. • Radiance gives energy by effective surface area.

d cosθ θ

d 782 Incident and Exitant Radiance

• Incident Radiance: Li(p, ω) Note that direction is always away from point • Exitant Radiance: Lo(p, ω) • In general: • p - no surface, no participating media

p p

782 Irradiance from Radiance

• |cosθ|dω is projection of a differential area • We take |cosθ| in order to integrate over the whole sphere n

r p 782 Reflected Radiance & BRDFs

dLo(p, ωo) ∝ dE(p, ωi)

N ωo ωi θi

dLo(p, ωo) dLo(p, ωo) fr(p, ωo, ωi) = = dE(p, ωi) Li(p, ωi) cos θidωi

782 Bidirectional Reflection Distribution Functions

Reciprocity: fr(p, ωi, ωo) = fr(p, ωo, ωi)

Energy Conservation:

fr(p, ωo, ω!) cos θ!dω! ≤ 1 !H2(n)

782 Bidirectional Scattering Distribution Functions

Bidirectional Reflection Distribution Function (BRDF)

fr(p, ωo, ωi)

Bidirectional Distribution Function (BTDF)

ft(p, ωo, ωi)

Bidirectional Scattering Distribution Function (BSDF)

f(p, ωo, ωi) 782 Bidirectional Scattering Distribution Functions

dLo(p, ωo) = f(p, ωo, ωi)Li(p, ωi)| cos θi|dωi

Lo(p, ωo) = f(p, ωo, ωi)Li(p, ωi)| cos θi|dωi !S2(n)